On many levels the election of Barack Obama as the 44th President of the U.S. represents a transformative moment in my nation’s history. I realize that there are some cynics and critics who will find reason to dismiss the significance of this victory, but they are wrong – and I want to share some personal reflections and vignettes from the campaign that describe this moment’s meaning for so many Americans.
During the past year my travels across the U.S. provided an extraordinary opportunity to experience at first-hand the concerns and expectations of so many Americans. There were many memorable experiences along the way, here are just a few:
Molecular data from another source follow:
┌──
--- 1 ---
Density functional theory data (ωB97M-V with the def2-TZVPD basis set) for 3 unconnected molecules or ions with the total composition C3H12N2O2.

Geometry as XYZ:
```
19
Properties=species:S:1:pos:R:3:mulliken_charge:R:1
C 0.718 -2.131 2.958 -1.0210
C 0.619 -1.825 1.441 -0.3623
N 0.642 0.712 -0.796 -0.4357
C 0.872 0.326 0.496 -0.1052
N 0.230 -0.461 1.233 -0.3637
H 1.337 -1.443 3.526 0.2832
H -0.310 -2.091 3.330 0.2703
H 1.038 -3.174 3.097 0.3336
H 1.610 -1.944 0.945 0.3111
H -0.040 -2.521 0.902 0.2182
H -0.215 0.320 -1.159 0.2769
H 1.419 0.946 -1.381 0.2468
H 1.959 0.520 0.743 0.3691
H -2.032 1.464 -5.466 0.3182
H -1.051 2.491 -6.187 0.3163
O -1.470 1.653 -6.203 -0.6346
H -1.803 2.722 1.557 0.3140
H -1.408 1.977 0.267 0.3208
O -2.115 2.461 0.696 -0.6561
```

* orbital gap: 8.5 eV
* SMILES: CC/N=C/N.O.O



--- 2 ---
Density functional theory data (ωB97M-V with the def2-TZVPD basis set) for 3 unconnected molecules or ions with the total composition C3H12N2O2.

Geometry as XYZ:
```
19
Properties=species:S:1:pos:R:3:mulliken_charge:R:1
C -0.512 -0.157 2.031 -1.0007
C -1.273 -0.394 0.717 -0.6076
N -0.603 -0.059 -0.526 -0.1061
C -1.034 0.930 -1.310 0.1184
N -0.388 1.428 -2.282 -0.6985
H 0.544 -0.325 1.903 0.2903
H -1.043 -0.795 2.735 0.3246
H -0.605 0.883 2.359 0.3286
H -1.456 -1.474 0.669 0.3004
H -2.244 0.093 0.759 0.4072
H 0.380 -0.281 -0.614 0.2226
H -2.028 1.292 -1.012 0.2729
H -0.695 2.347 -2.566 0.2210
H 2.483 1.480 -0.577 0.3065
H 1.663 1.213 -1.830 0.3465
O 2.212 0.753 -1.156 -0.7117
H 0.840 -2.404 -0.096 0.3100
H 2.259 -2.048 0.194 0.3257
O 1.499 -2.484 0.601 -0.6502
```

* orbital gap: 9.8 eV
* SMILES: [H]/N=C/NCC.O.O



Relative calculated energies, zero for the most stable structure, unit hartree: 1 0.0714; 2 0.0000.



--- 1 ---
Density functional theory data (ωB97M-V with the def2-TZVPD basis set) for 2 unconnected molecules or ions with the total composition C3H12N2O2.

Geometry as XYZ:
```
19
Properties=species:S:1:pos:R:3:mulliken_charge:R:1
N 0.058 1.672 1.741 -0.7532
C 0.144 0.687 0.685 0.4083
C 0.142 1.411 -0.738 -0.7570
O 0.979 0.779 -1.700 -0.5755
C -0.971 -0.314 0.905 -0.6955
N -0.610 -1.684 0.398 -0.5743
H -0.785 2.219 1.744 0.2239
H 0.839 2.364 1.641 0.2831
H 1.079 0.097 0.688 0.2089
H 0.582 2.300 -0.604 0.5198
H -0.879 1.501 -1.049 0.1908
H 0.880 -0.251 -1.716 0.3714
H -1.956 -0.032 0.437 0.2529
H -1.235 -0.411 1.988 0.3730
H -0.634 -2.420 1.086 0.1683
H -1.277 -1.954 -0.354 0.3493
H 0.486 -2.049 -1.361 0.3928
H 1.987 -2.156 -1.804 0.3032
O 1.172 -1.760 -1.988 -0.6904
```

* orbital gap: 9.4 eV
* SMILES: NC[C@H](N)CO.O



--- 2 ---
Density functional theory data (ωB97M-V with the def2-TZVPD basis set) for a molecular structure, C3H12N2O2.

Geometry as XYZ:
```
19
Properties=species:S:1:pos:R:3:mulliken_charge:R:1
C 0.230 0.608 -1.862 0.5909
N -0.896 1.239 -2.479 -0.6268
N 1.397 1.351 -2.152 -0.5401
O 0.471 -0.692 -2.341 -0.5143
H 0.356 -1.334 -1.630 0.3048
H -0.165 0.952 -0.605 0.2470
H 2.226 0.966 -1.720 0.2514
└──
The article goes on:
I began the Sunday before the election by addressing a Bangladeshi-Yemeni rally for Obama at a United Auto Workers union hall in Hamtramck, Michigan. Among the newest members of our nation’s immigrant communities, these two groups have been hard hit by a double-whammy: the economic downturn and the anti-Muslim bigotry on the right and left. Looking into the eyes of the young people from both communities and listening to their words made clear how important this campaign has been, and how their belief in the American Dream would be restored with an Obama victory.
Between two parts of the piece: records of molecules >
#A
28
Properties=species:S:1:pos:R:3 method="wB97M-V/def2-TZVPD" smiles="CC[C@H]1C(=O)N[C@H](C)[C@]1(C)[NH3+]" homo_lumo_gap_ha=0.373 spin_multiplicity=1 e_lumo_ev=-3.40 charge=+1
C -0.047 -0.822 -1.521
C -0.645 0.298 -0.669
C 1.144 -0.889 0.579
C -0.306 -0.073 0.777
C 1.564 -1.802 1.649
C -0.330 1.056 1.793
C -0.456 2.030 -2.629
C -0.175 1.648 -1.234
N 0.888 -1.526 -0.711
N -1.270 -1.175 1.053
O -0.304 -1.054 -2.673
H -1.747 0.232 -0.658
H 1.888 -0.069 0.492
H 2.610 -2.125 1.458
H 0.776 -2.536 1.797
H 1.807 -1.076 2.472
H 0.612 0.855 2.334
H -1.246 0.815 2.339
H -0.487 2.042 1.428
H -0.327 1.267 -3.351
H -0.081 2.945 -3.114
H -1.517 2.422 -2.713
H -0.490 2.399 -0.526
H 0.920 1.770 -0.956
H 1.401 -2.379 -0.978
H -0.835 -1.675 1.913
H -1.206 -1.745 0.212
H -2.140 -0.832 1.435

#B
28
Properties=species:S:1:pos:R:3 method="wB97M-V/def2-TZVPD" smiles="C=CN1CC(C)(C)[N@H+](C)[C@H]1O" homo_lumo_gap_ha=0.360 spin_multiplicity=1 e_lumo_ev=-2.61 charge=+1
C -2.560 -2.448 -0.046
C -2.532 -1.141 0.310
C -1.018 0.804 0.679
C 0.050 -1.323 -0.150
C 0.483 1.108 0.093
C 0.309 1.725 -1.286
C 1.179 1.989 1.099
C 2.301 -0.352 -0.920
N -1.480 -0.329 -0.121
N 1.133 -0.319 -0.033
O -0.053 -2.136 0.918
H -3.507 -2.951 0.028
H -1.822 -2.874 -0.745
H -3.187 -0.677 0.979
H -1.001 0.552 1.712
H -1.489 1.705 0.439
H 0.167 -1.961 -1.103
H 1.295 1.762 -1.750
H 0.013 2.761 -1.161
H -0.442 1.265 -1.857
H 1.625 2.806 0.595
H 1.910 1.482 1.675
H 0.342 2.375 1.745
H 2.098 -0.414 -1.950
H 2.897 0.629 -0.649
H 2.980 -1.038 -0.525
H 1.306 -0.425 1.001
H -0.997 -2.573 1.025

Computed stability ranking, most favorable first: #A, #B

#A
15
Properties=species:S:1:pos:R:3 method="wB97M-V/def2-TZVPD" homo_lumo_gap_ha="0.234 / 0.289" spin_multiplicity=3 e_lumo_ev="-3.70 / -6.34" charge=+1
C -1.605 -0.545 -0.081
C 0.706 -1.559 -0.232
C -0.377 1.147 -0.855
N 1.734 0.725 0.802
N -1.283 0.723 0.038
S 1.386 -0.057 -0.637
H -1.474 -0.932 -1.093
H -2.151 -0.957 0.787
H 0.863 -1.880 0.790
H 0.630 -2.152 -1.042
H -0.384 0.914 -1.913
H -0.197 2.158 -0.662
H 2.286 1.567 0.671
H -1.548 1.256 0.852
H 2.215 0.135 1.498

#B
15
Properties=species:S:1:pos:R:3 method="wB97M-V/def2-TZVPD" homo_lumo_gap_ha="0.279 / 0.243" spin_multiplicity=3 e_lumo_ev="-2.98 / -7.29" charge=+1
C -1.403 0.413 0.127
C 0.484 0.731 0.223
C 1.456 0.465 -0.767
N 2.219 -0.655 -0.789
N -1.539 -0.882 -0.059
S -1.973 1.017 1.710
H -1.558 0.964 -0.736
H 0.372 1.845 0.539
H 0.775 0.148 1.030
H 1.298 1.057 -1.691
H 2.569 -1.004 0.087
H 2.744 -0.981 -1.601
H -1.738 -1.558 0.597
H -2.266 -0.246 2.348
H -1.441 -1.313 -1.019

Computed stability ranking, most favorable first: #B, #A

#A
42
Properties=species:S:1:pos:R:3 method="wB97M-V/def2-TZVPD" smiles="CCCC(=O)Nc1ccc(NC(=O)c2cccc(OC)c2)nc1" homo_lumo_gap_ha=0.323 spin_multiplicity=1 e_lumo_ev=0.60 charge=0
C 6.048 4.430 -1.627
C 6.821 3.126 -1.783
C 6.310 2.054 -0.819
C 4.919 1.589 -1.224
O 4.599 1.412 -2.377
N 4.090 1.374 -0.158
C 2.768 0.924 -0.161
C 2.126 0.738 1.063
N 0.882 0.321 1.178
The notion that "you, too, can grow up to be President" had, for many Americans, become a mere banality. But not for those assembled before me. For these new immigrants that expression, and its deeper meaning of acceptance and opportunity, still resonated.
[Quantum chemistry results, kept here for reference]
<<<
Entry 1:
C23H43N2OP3SeTb as an isolated structure, computed with ωB97M-V/def2-TZVPD.

Last column: Mulliken spin population.
Element x y z (Å)
Tb1 -1.229 -0.065 -0.731  6.06
P1 -1.297 -2.412 0.904  -0.03
P2 1.577 -0.534 2.050  0.00
P3 1.512 -1.864 -1.398  0.00
H1 -3.518 2.369 -4.185  0.00
C1 -3.213 1.322 -4.404  0.00
C2 -2.727 0.478 -3.463  0.01
H2 -2.261 0.910 -2.534  0.00
C3 -2.689 -2.079 2.043  0.00
C4 -0.425 -3.701 1.873  0.00
C5 -2.147 -3.470 -0.330  0.00
C6 2.788 0.753 2.560  0.00
C7 0.678 -0.655 3.651  0.00
C8 2.686 -2.001 2.270  0.00
C9 1.220 -1.906 -3.227  -0.01
C10 1.728 -3.647 -1.070  0.00
C11 3.297 -1.408 -1.472  -0.01
H3 -3.388 1.047 -5.469  0.00
H4 -2.802 -0.602 -3.639  0.00
H5 -3.268 -1.215 1.690  0.00
H6 -2.299 -1.859 3.043  0.00
H7 -3.338 -2.962 2.086  0.00
H8 -0.081 -3.309 2.837  0.00
H9 0.430 -4.095 1.314  0.00
H10 -1.125 -4.526 2.067  0.00
H11 -2.649 -2.858 -1.093  0.00
H12 -2.897 -4.075 0.197  0.00
H13 -1.420 -4.129 -0.818  0.00
H14 3.558 0.285 3.175  0.00
H15 2.282 1.548 3.128  0.00
H16 3.206 1.139 1.637  0.00
H17 1.162 -1.392 4.311  0.00
H18 -0.362 -0.956 3.428  0.00
H19 0.688 0.345 4.104  0.00
H20 3.295 -1.826 3.174  0.00
H21 3.337 -2.096 1.386  0.00
H22 2.064 -2.903 2.392  0.00
H23 2.036 -2.509 -3.650  0.00
H24 1.244 -0.897 -3.652  0.00
H25 0.256 -2.381 -3.455  0.00
H26 2.324 -4.052 -1.891  0.00
H27 0.765 -4.158 -1.030  0.00
H28 2.265 -3.788 -0.130  0.00
H29 3.748 -1.955 -2.306  0.00
H30 3.804 -1.698 -0.549  0.00
H31 3.457 -0.335 -1.632  0.00
C12 1.304 2.662 -2.626  0.00
C13 -0.007 3.001 -2.968  0.00
C14 -0.353 2.967 -4.304  0.00
C15 0.662 3.019 -5.255  0.00
C16 1.991 3.002 -4.888  0.00
C17 2.341 2.754 -3.557  0.00
Se1 1.484 1.384 -1.154  -0.01
H32 0.646 0.464 -2.028  0.01
H33 -0.754 2.940 -2.182  0.00
H34 -1.411 2.907 -4.600  0.00
H35 0.365 3.120 -6.312  0.00
H36 2.770 3.194 -5.629  0.00
H37 3.355 2.546 -3.251  0.00
N1 -0.843 4.155 5.019  0.00
C18 -0.274 3.306 4.134  0.00
O1 0.889 2.893 4.206  0.00
C19 -1.189 2.730 3.067  0.00
C20 -2.598 2.676 3.279  0.00
C21 -3.374 2.015 2.327  0.00
C22 -2.802 1.402 1.228  0.00
N2 -1.449 1.387 1.074  -0.01
C23 -0.659 2.132 1.920  -0.01
H38 -0.168 4.637 5.657  0.00
H39 -1.741 4.597 4.894  0.00
H40 -3.029 3.113 4.187  0.00
H41 -4.459 1.959 2.451  0.00
H42 -3.372 0.930 0.437  0.01
H43 0.404 2.229 1.681  0.00

The total charge is +3. As for the expectation value of S²: 12.7119. The HOMO-LUMO gap (alpha / beta) comes out at 6.11 / 6.61 eV. The spin multiplicity is 7. As for the relative energy (zero: lowest compared OMol25 entry of this formula, charge and spin): 0.0 kcal per mole.


Entry 2:
A 2-piece molecular cluster, C23H43N6O3S2 overall, computed with ωB97M-V/def2-TZVPD.

Last column: Löwdin charge in e.
Element x y z (Å)
C1 -3.238 3.909 -1.148  -0.09
C2 -1.998 3.007 -1.219  -0.25
C3 -2.161 1.784 -2.151  -0.19
C4 -2.477 0.475 -1.407  -0.16
C5 -1.337 -0.560 -1.462  -0.14
N1 -0.330 -0.336 -0.432  0.00
C6 0.859 0.443 -0.827  -0.13
C7 1.722 -0.261 -1.891  -0.20
C8 1.784 0.503 -3.221  -0.52
>>>
[So much for the quantum chemistry results]
I ended the day at the Annual Hungarian Dinner at a church in Toledo, Ohio. Most of Northwest Ohio’s Democratic Party operatives were gathered there to get energized before the final push to the election. These European ethnic immigrants, who have for a century been the bedrock of the Democratic Party, were the "white middle class" voters whose support Barack Obama had to win in this election. And from the excitement I saw, it was clear that he had. After a few generations in the U.S., these communities felt that they had secured their place in the great American middle class; but now they could feel it slipping away and some feared that the "Dream" was getting beyond their children’s reach.
Scenes like this were nothing new to me. They replayed what I had witnessed over the past year, from as early as October of 2007 in Iowa to this, the final Sunday before the election. And what the scenes spoke to me of was what Barack Obama had achieved – a renewal of hope and a belief in change that had crossed ethnic, racial, religious, and generational lines.
On election day, waiting in a long line to cast my vote, I would again sense the power of this moment. Having been a part of the Jesse Jackson for President campaigns in 1984 and 1988, I knew how many diverse minority communities, and most especially African Americans, understood this day. For those of my generation, and older, the flood of history swept over us. We recalled, in our lifetime, the harsh reality of segregation and racist laws that had prohibited African Americans from using the same accommodations, attending the same schools, and even denied them the right to vote. We had participated in the movement to change our laws, and to open our political process. We had seen many pay the price along the way. Now we saw the fruits of these labors rewarded. We had, over forty years, made a long journey – and here we were in line, waiting to vote for the first African American who could be President.
Watching the results come in with my family gathered around, we wept as Obama’s victory became clear. In some ways we had expected this win, but were still overcome by its reality. And when the Obama family came on stage, announced as First Lady and President-elect, one chapter in America’s history was closed, and another opened. In this regard, the Obama victory represents a potentially transformative moment. We will now be able to see ourselves differently, and the world will see us differently as well. John McCain in his concession speech called the election a great moment for African Americans. He was half right: it was a great moment for us all.
In his remarkable speech in Chicago’s Grant Park on election night, Obama made clear that he understood the importance of all this. He also correctly cautioned America and the world to temper their expectations, and understand that all will not be made perfect. There will be disagreements over appointments made and decisions reached. But none of that diminishes the significance of the moment, nor should it dampen the belief in the real changes in policy and direction that will, undoubtedly, occur.